RMHC NL Board of Directors
Objectif de la campagne
Objectif de la collecte de fonds

Je recueille 5 000 $ pour OMRM de Terre-Neuve-et-Labrador.
Families with a sick child need to be stronger than ever as they manage their own family crisis during a global crisis. Right now, it is hard for all families to stay close – but it is even harder for a family with a sick or injured child especially those who must travel far from home during these extraordinary circumstances. As our province’s family care charity, we understand the importance of keeping families close, especially during these difficult times. Our families need you, now more than ever. RMHC NL has experienced a significant reduction of funding due to cancellation of fundraising events, suspended in house volunteer programs, cancelled program support from outside groups and increased costs due to heightened infection control processes as a result of COVID-19. It has certainly been a challenging year. As a dedicated team of volunteers serving as board members for Ronald McDonald House Charities Newfoundland and Labrador, we are a 100% giving board and we have all made personal monetary donations to Ronald McDonald House Charities Newfoundland and Labrador again this year and we invite you to also do the same. We need your help now more than ever! Your donation will go directly to providing programs and services for families with a sick child at Ronald McDonald House. Your donation will have a direct impact on our ability to continue delivering our mission of keeping families close to their sick or injured child. Your donation will mean: • keeping families close to their sick child and the medical care and resources they need; • the keys to a family suite for a shower and a good night sleep; • hot meals; • access to laundry services; • extra cleaning supplies for advanced sanitization procedures; • activities to help keep children and families occupied during isolation. Our families need your help!

Cette collecte de fonds appuie :
2020 Red Shoe Crew-Walk for FamiliesContribuez à cette collecte de fonds.
Historique des dons
8 octobre 2020
Lynette B donné
150 $
8 octobre 2020
Maxwell R donné
20 $
30 septembre 2020
_Crystal structures, as found in the file_
=====
No. 1
The following is a DFT calculation (PBE-GGA) of a relaxed MgBeAs2 crystal.

Properties
Energy of formation from the pure elements in eV/atom: 0.028
Volume in Å³ per atom: 17.886

Unit cell a=3.826 b=3.496 c=5.613 alpha=90.00 beta=107.63 gamma=90.00
Sites, in units of the cell vectors:
Mg (0.000, 0.000, 0.000)
Be (0.500, 0.000, 0.500)
As (0.273, 0.500, 0.700)
As (0.727, 0.500, 0.300)



No. 2
The following is a DFT calculation (PBE-GGA) of a relaxed MgBe2As crystal.

Properties
Energy of formation from the pure elements in eV/atom: 0.267
Volume in Å³ per atom: 16.237

Unit cell a=6.230 b=6.230 c=6.230 alpha=33.32 beta=33.32 gamma=33.32
Sites, in units of the cell vectors:
Mg (0.000, 0.000, 0.000)
Be (0.222, 0.222, 0.222)
Be (0.778, 0.778, 0.778)
As (0.500, 0.500, 0.500)



No. 3
The following is a DFT calculation (PBE-GGA) of a relaxed MgBeAs2 crystal.

Properties
Energy of formation from the pure elements in eV/atom: 0.285
Volume in Å³ per atom: 19.557

Unit cell a=10.092 b=10.092 c=10.092 alpha=17.18 beta=17.18 gamma=17.18
Sites, in units of the cell vectors:
Mg (0.000, 0.000, 0.000)
Be (0.259, 0.259, 0.259)
As (0.537, 0.537, 0.537)
As (0.740, 0.740, 0.740)



No. 4
The following is a DFT calculation (PBE-GGA) of a relaxed MgBe2As crystal.

Properties
Energy of formation from the pure elements in eV/atom: 0.337
Volume in Å³ per atom: 14.447

Unit cell a=3.308 b=3.308 c=5.280 alpha=90.00 beta=90.00 gamma=90.00
Sites, in units of the cell vectors:
Mg (0.000, 0.000, 0.000)
Be (0.500, 0.500, 0.298)
Be (0.500, 0.500, 0.702)
As (0.000, 0.000, 0.500)



No. 5
The following is a DFT calculation (PBE-GGA) of a relaxed Mg3BeAs crystal.

Properties
Energy of formation from the pure elements in eV/atom: 0.455
Volume in Å³ per atom: 24.710

Unit cell a=4.981 b=4.981 c=4.981 alpha=90.00 beta=90.00 gamma=90.00
Sites, in units of the cell vectors:
Mg (0.000, 0.000, 0.500)
Mg (0.000, 0.500, 0.000)
Mg (0.500, 0.000, 0.000)
Be (0.500, 0.500, 0.500)
As (0.000, 0.000, 0.000)



No. 6
The following is a DFT calculation (PBE-GGA) of a relaxed MgBeAs2N crystal.

Properties
Formation energy from raw total energies in eV/atom: 0.02
Volume in Å³ per atom: 15.410

Unit cell a=4.987 b=4.987 c=3.098 alpha=90.00 beta=90.00 gamma=90.00
Sites, in units of the cell vectors:
Mg (0.000, 0.000, 0.000)
Be (0.500, 0.500, 0.000)
As (0.000, 0.500, 0.500)
As (0.500, 0.000, 0.500)
N (0.500, 0.500, 0.500)



No. 7
The following is a DFT calculation (PBE-GGA) of a relaxed MgBeAs2N crystal.

Properties
Formation energy from raw total energies in eV/atom: 2.07
Volume in Å³ per atom: 21.539

Unit cell a=4.858 b=4.858 c=4.562 alpha=90.00 beta=90.00 gamma=90.00
Sites, in units of the cell vectors:
Mg (0.000, 0.000, 0.000)
Be (0.000, 0.000, 0.500)
As (0.000, 0.500, 0.000)
As (0.500, 0.000, 0.000)
N (0.500, 0.500, 0.500)



No. 8
The following is a DFT calculation (PBE-GGA) of a relaxed Na2MgBeAs2 crystal.

Properties
Energy of formation from the pure elements in eV/atom: -0.477
=====
Atlantic Grocery donné
500 $
5 septembre 2020
Catherine C donné
250 $
3 septembre 2020
Angela B donné
25 $
2 septembre 2020
Anonyme donné
100 $
29 ao�t 2020
Kelly R donné
50 $
28 ao�t 2020
Kelly O donné
25 $
28 ao�t 2020
Janice M donné
50 $
28 ao�t 2020
Kim B donné
25 $
28 ao�t 2020
Anonyme donné
75 $
28 ao�t 2020
Tracey W donné
100 $
28 ao�t 2020
Wanda P donné
25 $
28 ao�t 2020
Audrey B donné
25 $
28 ao�t 2020
Pearce. & Louise M donné
25 $
28 ao�t 2020
Rhonda H donné
25 $
27 ao�t 2020
David L donné
100 $
In memory of Aaron Bradbury 🌈
27 ao�t 2020
Jennette C donné
100 $
Great cause near and dear to our hearts! Michael, Jennette and Anna Ryan
5 ao�t 2020
RMM donné
150 $
31 juillet 2020
Erin H donné
150 $
We LOVE Ronald McDonald House! It was a safe haven for the Higdons, and is a home away from home for so many. Please donate today!
Ensemble, nous avons amassé 79 187 $ pour atteindre notre objectif 250 000 $
Équipes participant à cette collecte de fonds
- The Three Musketeers
- Team Christian
- Lincoln's Little Red Shoes
- Willie's Walkers - New Harbour
- The Peckham Family
- Finley and Lincoln Walk for Families 2020
- Jake and Lauren Davis -Walking for Families
- Sandee & Korie
- Christine, Barb & Phyllis - Walk for Families
- Sarah's Walk for Families
- Gerry Beresford "When they Want, Where they Want Walk" for Families
- Stephen's Walk for Families
- Sarah's Tely 10/ 30th Birthday Walk for Families
- Arianna & Aleah Make Their Steps Count for Families!
- Jennifer Fleming
- Shirley Kenny
- Abbey French
- Kaely Marques
- Cherry-Lynn Benson
- Shae-lynn Lahey
- Adam Smith
- Rachel and Shane
- Don, Annette and Ryan
- Kristen Dooley
- Bethany Thompson
- Spencer Wilkins
- Simone Wilkins
- Sarah Williams
- Sarah Mallay
- Julie’s Walk for Families
- Lynn Cooze